actually we have four of the pro ones
Let's say that the level of cluelessness is high but not so high so they should be able to do three simple steps
1)flip the switch into "V"
2)open the app and go into voltage or scope mode
3)point the terminals at the thing they have to measure (granted, 1 out of 5 is not able to do that correctly, we may make an adapter cable just in case)
4)take a screenshot with the button conveniently present in the app and send it to us
• Between two parts of the entry: crystal structures:
=====
(1)
HfO3F4 | PBE | optimized geometry

The volume is 538.6 Å³ per cell. Its crystal system is monoclinic. The distance to the lowest polymorph of the same formula comes out at 0 meV per atom. The energy relative to the elements, uncorrected is -2.145 eV/atom. As for the total magnetization: 0.1 Bohr magnetons per cell. As for the space-group type: P2_1/c.

Cell lengths 6.6485, 10.4249, 8.8660 Å; angles 90.00, 118.78, 90.00 degrees
With the nearest neighbours (Å) after each atom.
Element x y z (fractional)
Hf 0.2421 0.0484 0.4876  6 F 1.93-2.15
Hf 0.2421 0.4516 0.9876  6 F 1.93-2.15
Hf 0.7579 0.5484 0.0124  6 F 1.93-2.15
Hf 0.7579 0.9516 0.5124  6 F 1.93-2.15
O 0.1679 0.2257 0.9229  1 O 1.32
O 0.1679 0.2743 0.4229  1 O 1.32
O 0.3082 0.1297 0.0026  2 O 1.26-1.32
O 0.3082 0.3703 0.5026  2 O 1.26-1.32
O 0.4873 0.6547 0.3901  1 O 1.26
O 0.4873 0.8453 0.8901  1 O 1.26
O 0.5127 0.1547 0.1099  1 O 1.26
O 0.5127 0.3453 0.6099  1 O 1.26
O 0.6918 0.6297 0.4974  2 O 1.26-1.32
O 0.6918 0.8703 0.9974  2 O 1.26-1.32
O 0.8321 0.7257 0.5771  1 O 1.32
O 0.8321 0.7743 0.0771  1 O 1.32
F 0.0737 0.6065 0.0223  2 Hf 2.07-2.15
F 0.0737 0.8935 0.5223  2 Hf 2.07-2.15
F 0.0787 0.0553 0.2392  1 Hf 1.93
F 0.0787 0.4447 0.7392  1 Hf 1.93
F 0.3888 0.1187 0.7185  1 Hf 1.94
F 0.3888 0.3813 0.2185  1 Hf 1.94
F 0.4646 0.6051 0.0340  2 Hf 2.08-2.13
F 0.4646 0.8949 0.5340  2 Hf 2.08-2.13
F 0.5354 0.1051 0.4660  2 Hf 2.08-2.13
F 0.5354 0.3949 0.9660  2 Hf 2.08-2.13
F 0.6112 0.6187 0.7815  1 Hf 1.94
F 0.6112 0.8813 0.2815  1 Hf 1.94
F 0.9213 0.5553 0.2608  1 Hf 1.93
F 0.9213 0.9447 0.7608  1 Hf 1.93
F 0.9263 0.1065 0.4777  2 Hf 2.07-2.15
F 0.9263 0.3935 0.9777  2 Hf 2.07-2.15

(2)
Hf3OF | PBE | optimized geometry

The volume is 85.0 Å³ per cell. Its crystal system is cubic. The distance to the lowest polymorph of the same formula comes out at 0 meV per atom. The energy relative to the elements, uncorrected is -0.738 eV/atom. As for the total magnetization: 0.0 Bohr magnetons per cell. As for the space-group type: Pm-3m.

Cell lengths 4.3965, 4.3965, 4.3965 Å; angles 90.00, 90.00, 90.00 degrees
With the nearest neighbours (Å) after each atom.
Element x y z (fractional)
Hf 0.0000 0.0000 0.5000  2 O 2.20
Hf 0.0000 0.5000 0.0000  2 O 2.20
Hf 0.5000 0.0000 0.0000  2 O 2.20
O 0.0000 0.0000 0.0000  6 Hf 2.20
F 0.5000 0.5000 0.5000  12 Hf 3.11

(3)
HfO3F | PBE | optimized geometry

The volume is 67.2 Å³ per cell. Its crystal system is cubic. The energy relative to the elements, uncorrected is -1.504 eV/atom. As for the total magnetization: 3.0 Bohr magnetons per cell. As for the space-group type: Pm-3m.

Cell lengths 4.0661, 4.0661, 4.0661 Å; angles 90.00, 90.00, 90.00 degrees
With the nearest neighbours (Å) after each atom.
Element x y z (fractional)
Hf 0.0000 0.0000 0.0000  6 O 2.03
O 0.0000 0.0000 0.5000  2 Hf 2.03
O 0.0000 0.5000 0.0000  2 Hf 2.03
O 0.5000 0.0000 0.0000  2 Hf 2.03
F 0.5000 0.5000 0.5000  12 O 2.88

(4)
HfO3F4 | PBE | optimized geometry
=====
pairing was sort of automatic, switch on -> open app -> go to add device, done.
We considered buying cheap usb scopes and sending it to them but there are two problems:
one is that they would never be able to operate one correctly, a meter is something that they may be more familliar with / less intimidated from,
the other is that most of the time they either don't have a computer or have an ancient one

but a good functioning smartphone, oh yes they have one
these are also mechanics that don't have a freaking scan tool, which may have been fine 20 years ago but today with the amount of electronics cobbled together popping up errors randomly on stock cars, usually communication faults, because the whole architecture is a clusterfuck of things rushed to release a diagnosis is a must, instead when they have to clear codes they are fine taking half an hour to go to a friend of theirs rather than buying a generic scan tool for 5 euro on amazon or ebay that works 95% of the time (in fact we also bught a lot of those and resell to them)
The problem with regular multimeters is that they are unable to read them correctly (as i mentioned they will say like 2.5 without specifying the unit and a day and a half later when you can't find the problem and repeat the measurement it comes out that it was millivolts. Of course if you asked them the first time they said the wrong one.) or they have broken screens because you know things get dropped but it still works so we won't change this 5 euro piece of shit meter. I was thinking to get some of the newer pocket meters with just three buttons so it's in autorange all of the time - oh yes ranges are a problem too - but this has a scope function that actually works quite well.
Again, imagine give a scope to these people, i actually had to do once, we needed some measurement on this really strange fuel pressure sensor that we found only in a variant of dodge ram apparently present only in costa rica and i needed to see the waveform so our guy called his friend which apparently was good in electronics (spoiler alert: not) that had a scope, which was more or less one of those toys scope from velleman with a 128x64 monochrome screen. Our guy provided translation but it was really difficult to get what we wanted, but in the end he made it. This took three days to set up the meeting and about four hours of my time to babysit two people, one speaking a different language for which i don't know any words. One of these pokit is going to this guy straight away.
Re: Mooshimeter, yes the form factor is quite different, it's again something that might frighten these people less. Specs aren't everything.